Let’s pray for unity - 7-6-14 http://anticorruptionact.org/
(Next to the page, the page also holds records of crystals)
## LiTbTmCo (PBE)

Data for a relaxed LiTbTmCo crystal.

Computed properties:
ρ ... 8.19 Mg/m³
Formation enthalpy at 0 K ... -0.090 eV/atom
Total moment ... 0.000 μB per cell
VASP energy ... -4.620 eV/atom

Lattice parameters (Å, degrees): 6.835 6.835 6.835 90.00 90.00 90.00
Space group F-43m (No. 216)
Asymmetric unit:
Li 0.000 0.000 0.000 x4
Tb 0.250 0.250 0.750 x4
Tm 0.250 0.250 0.250 x4
Co 0.000 0.000 0.500 x4

----------

Entry 1:
An optimized crystal structure of La4SmHo5, computed with PBE.

Formation energy from the elements = 195 meV per atom
Symmetry = No. 12
Excess energy over the best structure of this formula in the dataset = 170 meV/atom

a b c (Å): 3.5466 11.5029 8.7844
angles (deg): 90.29 101.65 90.00
Sites, in units of the cell vectors:
La1 0.6625 0.2496 0.3249
La2 0.0338 0.7486 0.0676
La3 0.3375 0.7504 0.6751
La4 0.9662 0.2514 0.9324
Sm1 0.5000 0.0000 0.0000
Ho1 0.1737 0.9503 0.3474
Ho2 0.1724 0.5460 0.3449
Ho3 0.8276 0.4540 0.6551
Ho4 0.5000 0.5000 0.0000
Ho5 0.8263 0.0497 0.6526

Entry 2:
An optimized crystal structure of Nb8RuW2, computed with PBE.

Formation energy from the elements = 119 meV per atom
Symmetry = No. 12

a b c (Å): 5.3471 7.5570 7.5570
angles (deg): 41.49 77.56 77.56
Sites, in units of the cell vectors:
Nb1 0.0821 0.0875 0.5823
Nb2 0.0821 0.5823 0.0875
Nb3 0.9179 0.9125 0.4177
Nb4 0.2581 0.5010 0.5010
Nb5 0.9179 0.4177 0.9125
Nb6 0.4468 0.1068 0.1068
Nb7 0.5532 0.8932 0.8932
Nb8 0.7419 0.4990 0.4990
Ru1 0.0000 0.0000 0.0000
W1 0.5648 0.3070 0.3070
W2 0.4352 0.6930 0.6930

Entry 3:
An optimized crystal structure of ScTe4Pb, computed with PBE.

Symmetry = No. 216
Formation energy without anion corrections = 0.26 eV/atom

a b c (Å): 6.3413 6.3413 6.3413
angles (deg): 60.00 60.00 60.00
Sites, in units of the cell vectors:
Sc1 0.0000 0.0000 0.0000
Te1 0.3745 0.8766 0.3745
Te2 0.8766 0.3745 0.3745
Te3 0.3745 0.3745 0.8766
Te4 0.3745 0.3745 0.3745
Pb1 0.7500 0.7500 0.7500

Entry 4:
An optimized crystal structure of Ba2TeSe2, computed with PBE.

Symmetry = No. 127
Formation energy without anion corrections = -1.42 eV/atom
Excess energy over the best structure of this formula in the dataset = 166 meV/atom

a b c (Å): 8.7674 8.7674 4.3947
angles (deg): 90.00 90.00 90.00
Sites, in units of the cell vectors:
Te1 0.0000 0.0000 0.0000
Te2 0.5000 0.5000 0.0000
Ba1 0.1607 0.6607 0.5000
Ba2 0.6607 0.8393 0.5000
Ba3 0.8393 0.3393 0.5000
Ba4 0.3393 0.1607 0.5000
Se1 0.3490 0.8490 0.0000
Se2 0.8490 0.6510 0.0000
Se3 0.6510 0.1510 0.0000
Se4 0.1510 0.3490 0.0000

| no. | volume (Å³ per atom) | size of the total moment (μB per formula unit) | calculated total energy (eV/cell) |
| --- | --- | --- | --- |
| 1 | 35.1 | 0.0 | -45.37 |
| 2 | 17.9 | 0.0 | -114.43 |
| 3 | 30.1 | 0.0 | -21.03 |
| 4 | 33.8 | 0.0 | -42.14 |

----------

# Tb3Nd2Cd4 PBE optimized geometry
data_Tb3Nd2Cd4
_cell_length_a 9.926
_cell_length_b 9.926
_cell_length_c 8.264
_cell_angle_alpha 90.00
_cell_angle_beta 90.00
_cell_angle_gamma 139.66
(The records of crystals stop here)
Father we pray for unity, give us the wisdom to acknowledge that praying for our salvation it is not enough, we have become isolated and removed from contact with non-Christians and some of the pressing social questions of today, we have often been quite content to sing about going to heaven, but show very little concern for the sick and the poor, the lonely, the old and the miserable of our world. Father show us the way to do your will, Isaiah 58 is a ringing condemnation of such attitude as Christians, Father help us to be faithful to you my Lord and let us be concerned and open our eyes and earns to take action and dare not neglect these that need our love and support and as Christians show this manifestation of Christian love that we have tended greatly to neglect.
Father, you made us a family, let us open our hearth to all the people and minister not only one segment of our society but include all people, all classes, and all colors, without distinction. Father we need you, help us be obedient to your command to offer love, friendship, forgiveness, and grace to all people without regard to class, color, background, or heredity help us to follow your example, you was the one who called us and who Himself was the friend of sinners of all kinds. Lord We are honest and admit that this has been the weak spot in our life, we ask to forgive us. Father, open my eyes that I might see the people around me as people whom you created and whom you have placed in my path for a purpose. Teach me that I am my brother's keeper. Father we are your disciples and responsible stewards of all yours creation your gifts to all the people, for the good of humanity and the whole world. Father, help us to be one family with you my Lord, now and in the world to come. AMEN
-- Attached: crystal structures --
____________
Compound: PaMoAs
Source: the Open Quantum Materials Database
Functional: PBE
Structure: relaxed Values from VASP.

Its magnetization is 0.01 μB per cell. The value obtained for the final energy is -7.657 eV per atom.

```
&SYSTEM
  ibrav = 0, nat = 3, ntyp = 3
/
ATOMIC_SPECIES
Pa 231.04 Pa.upf
Mo 95.94 Mo.upf
As 74.92 As.upf
CELL_PARAMETERS angstrom
0.0000 3.2821 3.2821
3.2821 0.0000 3.2821
3.2821 3.2821 0.0000
ATOMIC_POSITIONS angstrom
Pa 0.0000 0.0000 0.0000
Mo 1.6411 1.6411 1.6411
As 4.9232 4.9232 4.9232
```

---

Compound: HoNbN2O
Source: the Open Quantum Materials Database
Functional: PBE
Structure: relaxed Values from VASP.

Its magnetization is 0.00 μB per cell. The value obtained for the final energy is -8.814 eV per atom.

```
&SYSTEM
  ibrav = 0, nat = 10, ntyp = 4
/
ATOMIC_SPECIES
Ho 164.93 Ho.upf
Nb 92.91 Nb.upf
N 14.01 N.upf
O 16.00 O.upf
CELL_PARAMETERS angstrom
5.6817 0.0000 0.0000
0.0000 3.8468 0.0000
0.0000 0.0000 5.9885
ATOMIC_POSITIONS angstrom
Ho 1.4204 0.0000 1.0601
Ho 4.2613 0.0000 4.9284
Nb 1.4204 1.9234 4.2977
Nb 4.2613 1.9234 1.6908
N 0.0000 1.9234 2.9943
N 1.4204 0.0000 4.8597
N 2.8408 1.9234 2.9943
N 4.2613 0.0000 1.1288
O 0.0000 1.9234 0.0000
O 2.8408 1.9234 0.0000
```

---

Compound: DyZn2Ni2
Source: the Open Quantum Materials Database
Functional: PBE
Structure: relaxed Values from VASP.

Its magnetization is 0.00 μB per cell. As for the formation enthalpy at 0 K: -292.6 meV/atom.

```
&SYSTEM
  ibrav = 0, nat = 5, ntyp = 3
/
ATOMIC_SPECIES
Dy 162.50 Dy.upf
Zn 65.41 Zn.upf
Ni 58.69 Ni.upf
CELL_PARAMETERS angstrom
-1.9613 1.9613 5.1998
1.9613 -1.9613 5.1998
1.9613 1.9613 -5.1998
ATOMIC_POSITIONS angstrom
Dy 0.0000 0.0000 0.0000
Zn 0.0000 0.0000 3.9715
Zn 0.0000 0.0000 6.4281
Ni 1.9613 0.0000 2.5999
Ni 0.0000 1.9613 2.5999
```

---

Which of these has the highest magnetization?
PaMoAs

~~~~~

Crystalline Tb12Ni3N5 at its relaxed geometry, computed with PBE-GGA.

POSCAR file:
```
Tb12Ni3N5
1.0
-7.592 7.592 7.592
7.592 -7.592 7.592
7.592 7.592 -7.592
Tb Ni N
48 12 20
direct
0.024 0.205 0.120
0.024 0.318 0.904
0.086 0.705 0.682
0.086 0.880 0.404
0.096 0.620 0.414
0.096 0.976 0.682
0.120 0.024 0.205
0.120 0.596 0.914
0.182 0.205 0.586
0.182 0.476 0.596
0.205 0.120 0.024
0.205 0.586 0.182
0.295 0.318 0.914
0.295 0.476 0.380
0.318 0.904 0.024
0.318 0.914 0.295
0.380 0.295 0.476
0.380 0.586 0.904
0.404 0.086 0.880
0.404 0.818 0.524
0.414 0.096 0.620
0.414 0.818 0.795
0.476 0.380 0.295
0.476 0.596 0.182
0.524 0.404 0.818
0.524 0.620 0.705
0.586 0.182 0.205
0.586 0.904 0.380
0.596 0.182 0.476
0.596 0.914 0.120
0.620 0.414 0.096
0.620 0.705 0.524
0.682 0.086 0.705
0.682 0.096 0.976
0.705 0.524 0.620
0.705 0.682 0.086
0.795 0.414 0.818
0.795 0.880 0.976
0.818 0.524 0.404
0.818 0.795 0.414
0.880 0.404 0.086
0.880 0.976 0.795
0.904 0.024 0.318
0.904 0.380 0.586
0.914 0.120 0.596
0.914 0.295 0.318
0.976 0.682 0.096
0.976 0.795 0.880
0.125 0.250 0.375
0.125 0.375 0.750
0.250 0.375 0.125
0.250 0.875 0.625
0.375 0.125 0.250
____________
-- Back to the page --
Thanks for the prayer, Brother. We can do all things through Christ who gives us strength!
(Unrelated to this page: crystal structures)
********
No. 1
VASP calculation (PBE) on crystalline CdCu2As at its relaxed geometry.

abc: 4.077 4.077 3.851
angles: 90.00 90.00 90.00
Fractional coordinates of all 4 atoms:
Cd: 0.000 0.000 0.000
Cu: 0.000 0.500 0.500
Cu: 0.500 0.000 0.500
As: 0.500 0.500 0.000

Values from the calculation:
D(E_F) = 1.7 states/eV/cell
electronic total energy = -3.2957 eV per atom
V = 16.0 Å³ per atom
polymorph energy (0 for the lowest one) = 31 meV/atom
space group = P4/mmm
energy of formation from the pure elements = 55 kJ/mol of formula units
total magnetic moment = 0.000 μB/cell

No. 2
VASP calculation (PBE) on crystalline TbU2Mn9 at its relaxed geometry.

abc: 8.290 8.290 5.077
angles: 90.00 90.00 90.00
Fractional coordinates of all 24 atoms:
Tb: 0.000 0.000 0.000
Tb: 0.500 0.500 0.000
U: 0.111 0.389 0.000
U: 0.389 0.889 0.000
U: 0.611 0.111 0.000
U: 0.889 0.611 0.000
Mn: 0.000 0.500 0.500
Mn: 0.069 0.208 0.500
Mn: 0.184 0.684 0.248
Mn: 0.184 0.684 0.752
Mn: 0.208 0.931 0.500
Mn: 0.292 0.431 0.500
Mn: 0.316 0.184 0.248
Mn: 0.316 0.184 0.752
Mn: 0.431 0.708 0.500
Mn: 0.500 0.000 0.500
Mn: 0.569 0.292 0.500
Mn: 0.684 0.816 0.248
Mn: 0.684 0.816 0.752
Mn: 0.708 0.569 0.500
Mn: 0.792 0.069 0.500
Mn: 0.816 0.316 0.248
Mn: 0.816 0.316 0.752
Mn: 0.931 0.792 0.500

Values from the calculation:
D(E_F) = 34.9 states/eV/cell
electronic total energy = -9.0868 eV per atom
V = 14.5 Å³ per atom
space group = P4/mbm
energy of formation from the pure elements = 67 kJ/mol of formula units
total magnetic moment = 8.369 μB/cell

No. 3
VASP calculation (PBE) on crystalline Cd6As2PI2 at its relaxed geometry.

abc: 7.282 7.282 9.027
angles: 121.51 121.51 58.34
Fractional coordinates of all 11 atoms:
Cd: 0.096 0.680 0.673
Cd: 0.236 0.236 0.105
Cd: 0.320 0.904 0.327
Cd: 0.680 0.096 0.673
Cd: 0.764 0.764 0.895
Cd: 0.904 0.320 0.327
As: 0.488 0.488 0.357
As: 0.512 0.512 0.643
P: 0.000 0.000 0.000
I: 0.225 0.225 0.770
I: 0.775 0.775 0.230

Values from the calculation:
D(E_F) = 3.5 states/eV/cell
electronic total energy = -2.1845 eV per atom
V = 29.7 Å³ per atom
space group = C2/m
formation energy without anion corrections = -0.0663 eV/atom
total magnetic moment = 0.000 μB/cell

No. 4
VASP calculation (PBE) on crystalline Tl7SnS6 at its relaxed geometry.

abc: 11.765 11.765 11.765
angles: 142.75 110.72 81.39
Fractional coordinates of all 28 atoms:
Tl: 0.032 0.258 0.290
Tl: 0.090 0.564 0.876
Tl: 0.187 0.064 0.474
Tl: 0.250 0.250 0.000
Tl: 0.313 0.787 0.876
Tl: 0.410 0.287 0.474
Tl: 0.468 0.758 0.226
Tl: 0.532 0.242 0.774
Tl: 0.590 0.713 0.526
Tl: 0.687 0.213 0.124
Tl: 0.750 0.750 0.000
Tl: 0.813 0.936 0.526
Tl: 0.910 0.436 0.124
Tl: 0.968 0.742 0.710
Sn: 0.250 0.750 0.500
Sn: 0.750 0.250 0.500
S: 0.074 0.871 0.601
S: 0.177 0.979 0.156
S: 0.230 0.629 0.202
S: 0.270 0.473 0.399
S: 0.323 0.479 0.802
S: 0.426 0.027 0.798
S: 0.574 0.973 0.202
S: 0.677 0.521 0.198
S: 0.730 0.527 0.601
S: 0.770 0.371 0.798
S: 0.823 0.021 0.844
S: 0.926 0.129 0.399

Values from the calculation:
********
Juan, unity? Why do people support the evil we have now? We allowed laws against medical science to deny individual responsibility for ones own actions, then force those not responsible to pay for them! The question is, will those supporting such things ever accept being responsible for what they do? Their evil is greatly manifested by a Liberal media that is anti-religion, unless it is Muslim! Obama is still in office because of his support of the Marxist agenda and not being a lying Muslim that claimed Christ to be elected! The Liberal media ignores his Muslim support so they can have their Marxist evil! Remember that God gives us our rights and not any government... they want this removed!